If you’re a social media enthusiast who spends your waking hours liking, loving, sharing, and +1ing, you may be looking for ways to turn your social enthusiasm into a full-time job. And with brands recognizing the power of the medium and looking for qualified people to help them launch and grow their platforms, there’s no better time to go for it than now.
But, before you start stalking social media jobs, check out these three not-so-obvious skill sets that are crucial for any successful social media guru.
1. Data Scouring
It’s no surprise that in order to be great at social media, you need to have a way with words (and grammar!). But, as this social media professional discovered, you need to find a way to be good with data, too. Companies are investing heavily in building out their social platforms—and the resources to support them—and they want to know how that investment is impacting their audience engagement, website traffic, and brand awareness.
First step? Make friends with Google Analytics, Facebook Insights, and Twitter Analytics. These are all free services that provide a breakdown around your social media efforts. When digging into these platforms, focus on not only familiarizing yourself with how they work, but also the analytics they’re highlighting—like demographics, growth, and engagement. Since social media can serve so many purposes within a company, it’s important to understand which pieces of data correspond to each of your goals.
5
Lattice="4.306 0.000 0.000 0.000 4.306 0.000 0.000 0.000 4.019" Properties=species:S:1:pos:R:3 comment="HfAuN2O | the Alexandria database | GGA-PBE | relaxed" e_tot_ev_per_atom=-6.847 formation_energy_uncorrected_mev_per_atom=121 crystal_system=tetragonal space_group="No. 123" pbc="T T T"
Hf 0.000 0.000 0.000
Au 2.153 2.153 2.009
O 0.000 0.000 2.009
N 0.000 2.153 0.000
N 2.153 0.000 0.000
Then, make even better friends with the number-loving research department.
2. Writing in 140 Characters
Many marketing professionals, journalists, and PR people make the jump to social media jobs, relying heavily on their writing background. And while writing for social media is different than writing press releases for several reasons, the most important is this: Social media is all about consuming bite-sized, easily shareable pieces of content. Trying to get your audience excited about what you’re saying is hard enough, but when you need to do it in 140 characters or less, it becomes a seriously sought-after skill.
If you’re struggling with brevity, remember that social writing should include these three things: Getting the most compelling piece of information across, writing the post in the genuine voice of your brand, and phrasing it in the most engaging way possible (e.g., can you ask a question instead of stating a fact?). If you’re looking for social media writing help, check out online courses, like Mediabistro’s “Writing and Editing for the Web.”
Here the piece breaks off for crystal structures >
/*
# 1
Compound: Ho4GaHg3
Source: Alexandria
Functional: PBE-GGA
Structure: optimized geometry

Computed properties:
Total magnetic moment ... 0.001 μB per cell
DFT formation energy ... -0.501 eV/atom

```
data_Ho4GaHg3
_cell_length_a 3.6588
_cell_length_b 3.6588
_cell_length_c 14.7753
_cell_angle_alpha 90.00
_cell_angle_beta 90.00
_cell_angle_gamma 90.00
_space_group_name_H-M_alt 'P 1'
_space_group_IT_number 1
_space_group_name_Hall 'P 1'
loop_
_atom_site_label
_atom_site_type_symbol
_atom_site_fract_x
_atom_site_fract_y
_atom_site_fract_z
Ho1 Ho 0.0000 0.0000 0.1168
Ho2 Ho 0.0000 0.0000 0.3721
Ho3 Ho 0.0000 0.0000 0.6279
Ho4 Ho 0.0000 0.0000 0.8832
Ga1 Ga 0.5000 0.5000 0.0000
Hg1 Hg 0.5000 0.5000 0.2451
Hg2 Hg 0.5000 0.5000 0.5000
Hg3 Hg 0.5000 0.5000 0.7549
```

# 2
Compound: TbErInAu
Source: Alexandria
Functional: PBE-GGA
Structure: optimized geometry

Computed properties:
Total magnetic moment ... 0.000 μB per cell
DFT formation energy ... -0.671 eV/atom

```
data_TbErInAu
_cell_length_a 3.6014
_cell_length_b 3.6014
_cell_length_c 7.6729
_cell_angle_alpha 90.00
_cell_angle_beta 90.00
_cell_angle_gamma 90.00
_space_group_name_H-M_alt 'P 1'
_space_group_IT_number 1
_space_group_name_Hall 'P 1'
loop_
_atom_site_label
_atom_site_type_symbol
_atom_site_fract_x
_atom_site_fract_y
_atom_site_fract_z
Tb1 Tb 0.0000 0.0000 0.0000
Er1 Er 0.0000 0.0000 0.5379
In1 In 0.5000 0.5000 0.2713
Au1 Au 0.5000 0.5000 0.7558
```

# 3
Compound: Pr2HoErS5
Source: Alexandria
Functional: PBE-GGA
Structure: optimized geometry

Computed properties:
Total magnetic moment ... 0.000 μB per cell
Uncorrected formation energy ... -1.50 eV/atom

```
data_Pr2HoErS5
_cell_length_a 4.8597
_cell_length_b 4.8597
_cell_length_c 10.2544
_cell_angle_alpha 90.00
_cell_angle_beta 90.00
_cell_angle_gamma 90.00
_space_group_name_H-M_alt 'P 1'
_space_group_IT_number 1
_space_group_name_Hall 'P 1'
loop_
_atom_site_label
_atom_site_type_symbol
_atom_site_fract_x
_atom_site_fract_y
_atom_site_fract_z
Pr1 Pr 0.0000 0.0000 0.2082
Pr2 Pr 0.0000 0.0000 0.7918
Ho1 Ho 0.5000 0.5000 0.5000
Er1 Er 0.5000 0.5000 0.0000
S1 S 0.0000 0.0000 0.5000
S2 S 0.0000 0.5000 0.0000
S3 S 0.5000 0.0000 0.0000
S4 S 0.5000 0.5000 0.2555
S5 S 0.5000 0.5000 0.7445
```

----------

No. 1
# FeAg2S

An optimized crystal structure of FeAg2S (PBE, the Alexandria database).

```
data_FeAg2S
_cell_length_a 8.589
_cell_length_b 8.589
_cell_length_c 4.283
_cell_angle_alpha 90.00
_cell_angle_beta 90.00
_cell_angle_gamma 90.00
_symmetry_space_group_name_H-M 'I -4 2 d'
_symmetry_Int_Tables_number 122
_symmetry_space_group_name_Hall 'I -4 2bw'
loop_
_atom_site_label
_atom_site_type_symbol
_atom_site_fract_x
_atom_site_fract_y
_atom_site_fract_z
_atom_site_occupancy
Fe1 Fe 0.000 0.000 0.000 1
Ag1 Ag 0.148 0.750 0.625 1
S1 S 0.000 0.000 0.500 1
```

Summary:
ΔE_f (raw)   407 meV/atom
Total magnetic moment   2.35 μB per formula unit
Total DFT energy (no corrections)   -4.1657 eV/atom
V   19.7 Å³/atom

=====

No. 2
# Fe2AgS3
*/
3. Being Quick on Your Feet
I don’t need to tell you that social media moves fast. And as a social media professional, you’re going to be responsible for staying on top of it. If there’s a company crisis, you’re going to need to talk to your audience about it on your social platforms ASAP. If you post a great piece of content that has your audience talking, you’re going to want to be there to monitor what they’re saying and, more importantly, talk back to them. Bottom line: Social doesn’t sleep or take Christmas vacations. So if you’re in charge of a company’s social media account, you’re always on call and expected to think quickly.
Next to the article, the page also holds materials data:
The following is a DFT calculation (PBE+U) of crystalline Ba2MnP2F at its relaxed geometry.

## Properties
- Mass density: 3.282 g/cm3
- Volume: 34.6 Å³/atom
- Energy: -25.099 eV per formula unit

Cell: 3.628 3.628 15.783 Å, 90.00 90.00 90.00°
Last column: magnetic moment on the atom in μB.
Fractional coordinates of all 6 atoms:
F1 0.500 0.500 0.000  0.00
P1 0.500 0.500 0.650  -0.07
P2 0.500 0.500 0.350  -0.07
Ba1 0.500 0.500 0.844  0.00
Mn1 0.500 0.500 0.500  4.49
Ba2 0.500 0.500 0.156  0.00
So much for the materials data:
To stay on top of it all, find yourself a great social media tracking tool—like Hootsuite—that will help you monitor your platforms all in one place and that allows you to schedule content in advance. Also, make sure you set up each platform so that you’re emailed every time someone engages with your brand.
The upside? As my fiancé recently asked, “Do you really get to play on Instagram all day?” And the answer is: Yes, I really do.